Garden Prep
Lunch in Lambertville
Happiness is a New Email Subscriber (to LGBTSr)
In case you didn’t know, I’ve been editing and publishing LGBTSr.org for seven years now, a site devoted to the over-50 LGBTQ reader and our friends and allies. It’s come back roaring …Let’s get this grow on the road. LGBTSr has come back bigger and better than ever, including a return to a weekly subscriber newsletter. Nothing makes my morning quite like seeing another new subscriber (or two, or three …). Knowing the site is growing in readership is my reward, and you can help.
Like what you find at LGBTSr? Consider it unlike other sites out there? Think it’s needed for our older LGBTQ community? Then kindly tell your friends about us and help us grow.
6 Questions for Professor Drewey Wayne Gunn
Professor Gunn We learned last week of the passing of Professor Drewey Wayne Gunn. Many of us knew Professor Gunn for his generosity and his encyclopedic knowledge of gay literature, especially forgotten gay literature by authors who paved the way for later generations. I had the pleasure of interviewing him and being amazed at his extensive answers and his deep knowledge of a subject he was devoted to. Here is a reprint of that interview. – Mark/Editor
I was recently introduced by a mutual friend to Drewey Wayne Gunn, Professor Emeritus , Texas A&M University–Kingsville. Professor Gunn has long been interested in recovering forgotten works of gay literature and has produced a treasure trove of guidebooks in his effort to acknowledge the many authors who, while largely ignored or forgotten, paved the way for the richness and variety we now enjoy in gay literature.
His books include the upcoming Gay American Novels, 1870 – 1970 (McFarland, 2016), as well as Gay Novels of Britain, Ireland, and the Commonwealth, 1881 – 1981 (McFarland, 2014), 1960s Gay Pulp Fiction, edited with Jaime Harker (Massachusetts, 2013), The Gay Male Sleuth in Print and Film (Scarecrow, 2013), and The Golden Age of Gay Literature, editor (MLR, 2009).
I had the pleasure of asking Professor Gunn ‘6 Questions’ about his books, his passion for forgotten works, and how he thinks we can best keep our literary heritage alive. – Mark McNease/Editor
Pancakes by Mark
Adventures in Gardening (#1 in a Series)
In the beginning: last year’s garden. Mark McNease/Editor
Before moving full time to our house in rural New Jersey, my husband Frank and I had very little success with our attempts at growing a vegetable garden. Gardens of any kind, especially vegetable gardens, require frequent watering and care. We were only here on weekends, driving out from New York City, and then not every weekend.
Quotes and Quotable: New York Times Editorial Board
“The president is not a king but a citizen, deserving of the presumption of innocence and other protections, yet also vulnerable to lawful scrutiny. We hope Mr. Trump recognizes this. If he doesn’t, how Republican lawmakers respond will shape the future not only of this presidency and of one of the country’s great political parties, but of the American experiment itself.”
Lee Lynch’s Amazon Trail: The Terlet
Inserted here: records of crystals
- - -
1.
LaPm2HoTh: theoretical powder X-ray diffraction pattern (λ = 1.5418 Å (Cu Kα)), based on a structure optimized by DFT (PBE).
No peak broadening, texture or thermal motion is included.

Structural model:
Cell: 8.6819 6.4625 6.4339 Å, 90.00 98.81 90.00°
Fractional coordinates of all 10 atoms:
La 0.0000 0.0000 0.0000
La 0.0000 0.0000 0.5000
Pm 0.3157 0.3141 0.2002
Pm 0.3157 0.6859 0.7002
Pm 0.6843 0.3141 0.2998
Pm 0.6843 0.6859 0.7998
Ho 0.5000 0.1705 0.7500
Ho 0.5000 0.8295 0.2500
Th 0.0000 0.4539 0.7500
Th 0.0000 0.5461 0.2500

The 8 most intense peaks (2θ from 10° to 90°), by intensity:
Position (°2θ)  d/Å  I (rel.)
29.54  3.024  100.0
31.32  2.856  87.2
30.21  2.958  76.0
34.47  2.602  56.2
28.07  3.179  55.5
32.08  2.790  53.0
27.01  3.301  52.8
20.71  4.290  50.8

***

2.
HfMg6TiO8: theoretical powder X-ray diffraction pattern (λ = 1.5418 Å (Cu Kα)), based on a structure optimized by DFT (PBE).
No peak broadening, texture or thermal motion is included.

Structural model:
Cell: 4.3038 4.3038 8.8237 Å, 90.00 90.00 90.00°
Fractional coordinates of all 16 atoms:
Hf 0.0000 0.0000 0.0000
Mg 0.0000 0.0000 0.5000
Mg 0.0000 0.5000 0.2583
Mg 0.0000 0.5000 0.7417
Mg 0.5000 0.0000 0.2583
Mg 0.5000 0.0000 0.7417
Mg 0.5000 0.5000 0.5000
Ti 0.5000 0.5000 0.0000
O 0.0000 0.0000 0.2577
O 0.0000 0.0000 0.7423
O 0.0000 0.5000 0.0000
O 0.0000 0.5000 0.5000
O 0.5000 0.0000 0.0000
O 0.5000 0.0000 0.5000
O 0.5000 0.5000 0.2606
O 0.5000 0.5000 0.7394

The 8 most intense peaks (2θ from 10° to 90°), by intensity:
Position (°2θ)  d/Å  I (rel.)
10.02  8.824  100.0
41.99  2.152  63.6
35.85  2.505  47.0
60.06  1.540  39.2
22.99  3.868  39.2
31.09  2.877  34.3
40.91  2.206  33.9
20.13  4.412  24.9

***

3.
TaGeOs: theoretical powder X-ray diffraction pattern (λ = 1.5418 Å (Cu Kα)), based on a structure optimized by DFT (PBE).
No peak broadening, texture or thermal motion is included.

Structural model:
Cell: 7.5563 7.5563 7.5563 Å, 119.66 83.80 127.81°
Fractional coordinates of all 18 atoms:
Ta 0.0035 0.2500 0.2535
Ta 0.4210 0.8606 0.0604
Ta 0.4274 0.4180 0.5094
Ta 0.8001 0.3606 0.9396
Ta 0.9086 0.9180 0.4906
Ta 0.9965 0.7500 0.7465
Ge 0.0800 0.4209 0.6751
Ge 0.0800 0.9049 0.1591
Ge 0.3671 0.1671 0.7000
Ge 0.4671 0.6671 0.3000
Ge 0.7458 0.4049 0.3249
Ge 0.7458 0.9209 0.8409
Os 0.1615 0.3307 0.9256
Os 0.1615 0.7359 0.3308
Os 0.4051 0.2359 0.0744
Os 0.4051 0.8307 0.6692
Os 0.6573 0.1573 0.5000
Os 0.6573 0.6573 0.0000

The 8 most intense peaks (2θ from 10° to 90°), by intensity:
Position (°2θ)  d/Å  I (rel.)
36.29  2.476  100.0
39.43  2.285  86.7
35.91  2.501  37.5
41.54  2.174  32.0
47.91  1.899  30.6
42.42  2.131  29.7
39.89  2.260  29.5
42.09  2.147  29.4

***

4.
NaBPd3: theoretical powder X-ray diffraction pattern (λ = 1.5418 Å (Cu Kα)), based on a structure optimized by DFT (PBE).
No peak broadening, texture or thermal motion is included.

Structural model:
Cell: 7.9266 7.9266 7.9266 Å, 60.00 60.00 60.00°
Fractional coordinates of all 20 atoms:
- - -
Photo by Sue Hardesty The Amazon Trail
By Lee LynchWhen I objected, starting around the age of four or five, to commercials on the radio, I had no idea what the future of marketing would hold for us all. Why, I asked, was “The Lone Ranger” interrupted to sell Silvercup Bread? Was it because of his silver bullets? Well, yes, it was considered a terrific marketing tie-in. I hated ads then and I hate them now when the once open internet has become a mammoth shopping mall for which we pay with our privacy.
Call For Submissions: Gay Men’s Health Summit Seeks Presentations, Panels, Workshops (November 8-10, Vancouver)
November 8-10
SFU: Vancouver Campus
515 West Hastings
Vancouver, BCHow’s your Head? Sexual Identity, Mental Health and Substance Use
Call for Submissions: Oral Presentations, Panels, Workshops, Videos, Roundtables, Readings
Loneliness, anxiety and depression are no strangers to those of us who have been denied equal status in society. Growing up in a heteronormative and ciscentric world, many gay, bi, trans, Two-Spirit, queer (GBT2Q), and other men who have sex with men have learned how everyday inequalities can impact our health. From microaggressions to institutionalized discrimination, these societal norms can have a lasting impact on our mental health. Combined with stigma towards, and within, our communities (including racism, HIV-stigma and transphobia), this can sometimes spiral into greater physical and sexual health concerns.
Bob Dylan Celebrates Gay Love with Cover of ‘[He’s] Funny That Way’
Screenshot of the New York Times “If you look at the history of pop music, love songs have predominantly come from one heterosexual perspective. If we view music as something that brings people together, shouldn’t these popular songs be open to everyone?” – Tom Murphy, a co-producer of “Universal Love.”
Shortly after the Supreme Court legalized same-sex marriage in 2015, Justice Antonin Scalia attended a party where he signaled his displeasure by singing Bob Dylan’s “The Times They Are a-Changin’.”
“He sang with great verve,” Justice Ruth Bader Ginsburg told The Washington Post at the time.
Now Mr. Dylan himself is crooning about same-sex love. As part of a new EP called “Universal Love,” he rerecorded the 1929 song “She’s Funny That Way,” from the Great American Songbook catalog, but switched the pronoun to “He’s Funny That Way.”
Tired Old Queen at the Movies: Gentlemen’s Agreement
Gregory Peck heads an all star cast in Darryl F Zanuck’s Oscar winning Best Picture of 1947; Elia Kazan’s “Gentlemen’s Agreement”. Based on the bestselling novel by Laura Z Hobson, it deals with the problem of antisemitism just after the World War II. Also in the cast are Dorothy McGuire, John Garfield, Anne Revere, June Havoc and Celeste Holm in the role of the sympathetic reporter that won her an Oscar as Best Supporting Actress. Brilliantly written by Moss Hart, it’s subtly acted, directed and as relevant today as the day it premiered.
April Featured Author: Joe Cosentino
Author Joe Cosentino Crossposted from LGBTSr
Joe Cosentino is as prolific a writer as you’ll likely ever meet. His series include the Nicky and Noah Mysteries, the Jana Lane Mysteries, the Cozi Cove Series, holiday stories, romances, and a host of audiobooks.
Joe recently released second editions of the first three Nicky and Noah mystery novels. Audiobooks for them (narrated by Michael Gilboe, Chip Hurley, and Brad Enright) are still for sale on Audible, Amazon and iTunes. He also has audiobooks available for The Naked Prince and Other Tales from Fairyland (Dreamspinner Press, Joel Leslie); A Home for the Holidays, Bobby and Paolo’s Holiday Stories Book 1(Dreamspinner Press, Joel Leslie), Cozzi Cove: Bouncing Back, the first Cozzi Cove novel (NineStar Press, Chase Johnson), and Porcelain Doll, the second Jana Lane mystery (The Wild Rose Press, Derick Snow).
April Featured Author: Joe Cosentino
Author Joe Cosentino Joe Cosentino is as prolific a writer as you’ll likely ever meet. His series include the Nicky and Noah Mysteries, the Jana Lane Mysteries, the Cozzi Cove Series, holiday stories, romances, and a host of audiobooks.
Joe recently released second editions of the first three Nicky and Noah mystery novels. Audiobooks for them(narrated by Michael Gilboe, Chip Hurley, and Brad Enright) are still for sale on Audible, Amazon and iTunes. He also has audiobooks available for The Naked Prince and Other Tales from Fairyland (Dreamspinner Press, Joel Leslie); A Home for the Holidays, Bobby and Paolo’s Holiday Stories Book 1(Dreamspinner Press, Joel Leslie), Cozzi Cove: Bouncing Back, the first Cozzi Cove novel (NineStar Press, Chase Johnson), and Porcelain Doll, the second Jana Lane mystery (The Wild Rose Press, Derick Snow).